1900 – 1993
**Next to the article, the page also holds calculated molecules:**
/*
ORCA calculation (wB97M-V/def2-TZVPD) on a cluster of 12 separate species, C53H130BF4N8O13S in total at a distorted geometry.

Last columns: bonded neighbours and bond lengths (Å).
Positions of all 210 atoms, in Å:
1 S -0.538 0.809 0.982  O2 1.435, O3 1.435, O4 1.461, O5 1.404
2 O -1.335 1.225 2.101  S1 1.435
3 O -1.346 0.683 -0.197  S1 1.435
4 O 0.584 1.739 0.886  S1 1.461
5 O -0.013 -0.478 1.181  S1 1.404
6 C 3.738 -0.157 5.658  C7 1.554, H15 1.090, H16 1.090, H17 1.090
7 C 4.322 0.481 4.368  C6 1.554, C8 1.515, H18 1.090, H19 1.090
8 C 3.568 0.252 3.073  C7 1.515, N9 1.590, H20 1.090, H21 1.090
9 N 4.289 0.718 1.735  C8 1.590, C10 1.508, C11 1.574, C14 1.491
10 C 4.810 2.128 1.857  N9 1.508, H22 1.090, H23 1.090, H24 1.090
11 C 3.266 0.554 0.550  N9 1.574, C12 1.542, H25 1.090, H26 1.090
12 C 4.091 0.104 -0.672  C11 1.542, C13 1.546, H27 1.090, H28 1.090
13 C 5.503 -0.178 -0.108  C12 1.546, C14 1.571, H29 1.090, H30 1.090
14 C 5.336 -0.305 1.449  N9 1.491, C13 1.571, H31 1.090, H32 1.090
15 H 4.279 0.109 6.567  C6 1.090
16 H 3.613 -1.227 5.490  C6 1.090
17 H 2.742 0.107 6.014  C6 1.090
18 H 5.390 0.272 4.299  C7 1.090
19 H 4.296 1.560 4.522  C7 1.090
20 H 2.638 0.820 3.087  C8 1.090
21 H 3.370 -0.805 2.895  C8 1.090
22 H 5.129 2.396 0.850  C10 1.090
23 H 5.606 2.146 2.601  C10 1.090
24 H 3.966 2.771 2.109  C10 1.090
25 H 2.814 1.517 0.314  C11 1.090
26 H 2.438 -0.101 0.820  C11 1.090
27 H 4.192 0.871 -1.439  C12 1.090
28 H 3.641 -0.769 -1.144  C12 1.090
29 H 6.211 0.613 -0.358  C13 1.090
30 H 5.987 -1.038 -0.569  C13 1.090
31 H 6.251 -0.124 2.013  C14 1.090
32 H 4.925 -1.282 1.706  C14 1.090
33 C 2.349 -0.813 -3.995  C34 1.573, H42 1.090, H43 1.090, H44 1.090
34 C 2.173 -2.208 -4.699  C33 1.573, C35 1.571, H45 1.090, H46 1.090
35 C 1.195 -2.087 -5.922  C34 1.571, N36 1.552, H47 1.090, H48 1.090
36 N 1.404 -3.135 -7.048  C35 1.552, C37 1.554, C38 1.555, C41 1.565
37 C 0.909 -4.566 -6.699  N36 1.554, H49 1.090, H50 1.090, H51 1.090
38 C 0.772 -2.525 -8.330  N36 1.555, C39 1.641, H52 1.090, H53 1.090
39 C 1.456 -3.353 -9.572  C38 1.641, C40 1.507, H54 1.090, H55 1.090
40 C 2.737 -3.902 -8.999  C39 1.507, C41 1.585, H56 1.090, H57 1.090
41 C 2.877 -3.251 -7.560  N36 1.565, C40 1.585, H58 1.090, H59 1.090
42 H 3.150 -0.917 -3.264  C33 1.090
43 H 1.509 -0.268 -3.564  C33 1.090
44 H 2.762 -0.019 -4.618  C33 1.090
45 H 1.817 -2.918 -3.953  C34 1.090
46 H 3.109 -2.533 -5.153  C34 1.090
47 H 1.597 -1.209 -6.428  C35 1.090
48 H 0.131 -2.011 -5.697  C35 1.090
49 H 1.690 -5.056 -6.118  C37 1.090
50 H 0.713 -5.105 -7.626  C37 1.090
51 H -0.072 -4.494 -6.228  C37 1.090
52 H -0.313 -2.631 -8.310  C38 1.090
53 H 1.134 -1.512 -8.504  C38 1.090
54 H 0.737 -4.131 -9.830  C39 1.090
55 H 1.583 -2.639 -10.386  C39 1.090
56 H 2.683 -4.989 -9.046  C40 1.090
57 H 3.648 -3.720 -9.569  C40 1.090
58 H 3.455 -3.908 -6.911  C41 1.090
59 H 3.308 -2.251 -7.607  C41 1.090
60 C -4.586 -2.895 8.058  C61 1.496, H69 1.090, H70 1.090, H71 1.090
*/
Developed principles of quality control
Enshrined: 1986
Major Field of Study: Manufacturing Quality Management and Quality Control
Specific Accomplishment: Developed Principals of Quality Control
Home Town: Sioux City, Iowa
Youth Activities: While a child in Cody, Wyoming, was an acquaintance of “Buffalo Bill” Cody. In Powell, Wyoming, he worked at a hotel and lit gasoline street lamps.
Bachelor’s Degree: University of Wyoming, Bachelor of Science, Electrical Engineering, 1921
Master’s Degree: University of Colorado, Master of Science, Mathematics and Physics, 1925
Doctoral Degree: Yale University, PhD, Mathematics and Physics, 1928
Engineering and Science Achievements:
W. Edwards Deming played a significant role in Japan’s post-WWII economic resurgence, which led to widespread adoption of his philosophy in the U.S. during the later years of his life. His basic message was that focusing on quality would decrease cost and increase both productivity and market share. However, he argued that problems with quality were usually management’s fault rather than that of the workers on the floor. Management needed to transform itself and its practices into a quality-oriented enterprise. Quality should not be entrusted to a quality control department, but rather to a collaborative effort involving management, supervision, purchasing, and production workers. Quality inspections should be eliminated in favor of building quality into the product during the manufacturing process.
(Records of molecules that have nothing to do with the page)
~~~
1) 11
Properties=species:S:1:pos:R:3:nbo_charge:R:1 method="wB97M-V/def2-TZVPD" e_homo_ev=-9.858
O 2.533 -1.880 -1.787 -0.49
C 1.690 -1.498 -1.133 0.50
C -0.580 0.537 -0.270 0.49
C 0.149 1.214 0.854 -0.73
O -0.708 0.979 -1.390 -0.50
C -1.207 -0.827 0.034 0.34
O -1.229 -1.307 1.140 -0.48
H 1.014 0.604 1.140 0.25
H -0.495 1.290 1.735 0.25
H 0.483 2.203 0.535 0.24
H -1.650 -1.315 -0.857 0.13



2) 11
Properties=species:S:1:pos:R:3:nbo_charge:R:1 method="wB97M-V/def2-TZVPD" smiles="O=C1[C@@H]2[C@H](O)[C@]12O" e_homo_ev=-9.874
O -0.536 0.733 -2.656 -0.55
C -0.224 0.401 -1.551 0.46
C 0.705 0.515 -0.512 -0.28
C 0.291 -0.598 0.359 0.04
O 1.025 -1.787 0.227 -0.67
C -0.910 0.044 -0.295 0.24
O -1.885 0.619 0.477 -0.64
H 1.422 1.381 -0.462 0.25
H 0.486 -0.441 1.428 0.20
H 0.893 -1.947 -0.723 0.46
H -2.649 0.578 -0.063 0.49



1) is preferred energetically. Next in line: 0.0928 hartree higher.


# 1
~~~
Additional Background:
From 1927 to 1939, Deming worked for the U.S. Department of Agriculture (USDA) as a physicist and teacher of math and statistics in the USDA Graduate School. Working for the U.S. Census Bureau from 1939 to 1946, he developed sampling techniques used in the 1940 census. During WWII, he also served as consultant to the Secretary of War, teaching statistical process control to engineers involved in the war production effort.
In 1946, Deming left the government and set up his own consulting firm. After going to Japan in 1947 to work on the census there, he was invited by Japanese industry leaders in 1950 to provide training on quality and statistical process control. So successful was his impact deemed to be on the Japanese manufacturing industry that in 1960 he was awarded the Second Order of Medal of the Sacred Treasure by Emperor Hirohito. Deming continues to be recognized in Japan today through the Deming Prize, which is awarded annually by the Union of Japanese Scientists and Engineers to companies and individuals for achievements in Total Quality Management.
Initially largely ignored in the U.S., Deming’s work attracted increased American attention as Japanese products assumed progressively larger shares of the US and world markets during the 1970s and 80s.
Deming’s philosophy is summarized in his “14 Points for Management,” expounded his 1982 book “Quality, Productivity and Competitive Position” (renamed “Out of Crisis” in 1986), and in his “System of Profound Knowledge” set forth in his 1993 work “The New Economics.” His positive impact in America was reflected in the success of the Ford Taurus line of cars, which became the best-selling car in America after Ford adopted Deming’s management techniques.
In 1993, he founded the W. Edwards Deming Institute to foster the understanding of his System of Profound Knowledge.
“W. Edwards Deming,” Wikipedia, retrieved 11 July 2016 from https://en.wikipedia.org/wiki/W._Edwards_Deming#Early_life_and_work
“W. Edwards Deming Institute” web site, https://www.deming.org/
“Deming, William Edwards,” Encyclopedia.com, retrieved 11 July 2016 from http://www.encyclopedia.com/topic/William_Edwards_Deming.aspx
“W. Edwards Deming: the Story of a Truly Remarkable Person,” Austenfeld, Robert B. Jr., Term Paper submitted to Cosumnes River College, 10 May 2001.
“Deming Prize” web site, https://www.juse.or.jp/deming_en/